Children’s services in Angus generally good but more work required for very vulnerable
Services for children and young people in Angus are generally performing well and delivering good outcomes for children, young people and their families, inspectors have said.
However, more could be done for some very vulnerable children in order to deliver even better outcomes.
These are among the key findings of a joint inspection of services for children and young people in the Angus Community Planning Partnership.
The inspection was carried out by the Care Inspectorate with Education Scotland, Healthcare Improvement Scotland and Her Majesty’s Inspectorate of Constabulary for Scotland between 16 May 2016 and 24 June 2016.
Inspectors looked at how well a wide range of services were working together to make a positive difference to the lives of children, young people and their families. Inspectors interviewed staff, senior officers and young people, visited services, and carried out a structured review of individual young people’s care files.
Some specially-trained young inspectors aged 18 to 24, who have personal experience of using care, met young people, listening to what matters to them, and had the chance to probe agencies about what they were doing to improve the quality of care for other young people.
Inspectors found that partners were ‘very good’ at improving outcomes for children and young people, and six other areas of practice were found to be ‘good’. Inspectors graded two areas as ‘adequate’: these were the way that the partnership assessed and responded to risks and needs; and the way support is planned for individual children.
Inspectors praised the partnership for using data well to improve outcomes for children and young people, and found many real improvements had been made in the lives of children and young people.
There were major strengths in the health and wellbeing of babies, and in children’s educational achievements. There were improving trends in many aspects of the lives of vulnerable children and young people, including those who were looked after. Increasingly children and young people who were unable to live at home were living in a family setting and were able to remain within Angus.
........
1.
Diffraction record for CsPb. The powder diffraction line list is theoretical, not measured: it uses DFT lattice parameters and positions (GGA-PBE) and Cu Kα X-rays.
Intensities are scaled so that the largest is 100.

Structural model:
```
CsPb
1.0
6.2553 0.0000 0.0000
0.0000 13.0614 0.0000
0.0000 0.0000 8.2511
Cs Pb
6 6
Cartesian
1.5638 0.7808 1.1453
1.5638 5.7499 1.1453
1.5638 9.7960 4.4489
4.6915 3.2653 3.8021
4.6915 7.3115 7.1058
4.6915 12.2806 7.1058
1.5638 0.4510 5.0792
1.5638 3.2653 6.0766
1.5638 6.0797 5.0792
4.6915 6.9817 3.1719
4.6915 9.7960 2.1745
4.6915 12.6104 3.1719
```

Most intense lines, 10° ≤ 2θ ≤ 90°, sorted by position:
2θ 10.7, I 48; 2θ 15.7, I 36; 2θ 17.8, I 38; 2θ 24.9, I 32; 2θ 25.9, I 100; 2θ 26.8, I 33; 2θ 28.5, I 68; 2θ 29.3, I 67; 2θ 29.8, I 31; 2θ 32.8, I 30; 2θ 37.3, I 32; 2θ 51.1, I 40

***

2.
Diffraction record for Cs3Pb5. The powder diffraction line list is theoretical, not measured: it uses DFT lattice parameters and positions (GGA-PBE) and Cu Kα X-rays.
Intensities are scaled so that the largest is 100.

Structural model:
```
Cs3Pb5
1.0
4.0798 -9.5896 0.0000
4.0798 9.5896 0.0000
-1.1412 0.0000 9.4998
Cs Pb
6 10
Cartesian
0.2073 0.0000 6.4664
4.0798 6.3387 0.0000
3.5092 5.2929 4.7499
3.5092 -5.2929 4.7499
4.0798 -6.3387 0.0000
6.8111 0.0000 3.0333
2.3753 1.6577 3.6363
2.4562 2.5564 7.9716
2.6278 0.0000 0.6922
2.3753 -1.6577 3.6363
4.5622 2.5564 1.5282
2.4562 -2.5564 7.9716
4.6431 1.6577 5.8635
4.3907 0.0000 8.8076
4.5622 -2.5564 1.5282
4.6431 -1.6577 5.8635
```

Most intense lines, 10° ≤ 2θ ≤ 90°, sorted by position:
2θ 11.9, I 100; 2θ 23.8, I 25; 2θ 25.7, I 44; 2θ 26.8, I 86; 2θ 27.2, I 34; 2θ 29.4, I 93; 2θ 29.5, I 61; 2θ 31.2, I 32; 2θ 32.7, I 30; 2θ 33.8, I 24; 2θ 36.1, I 25; 2θ 49.1, I 31

***

3.
Diffraction record for CsPd2Pb. The powder diffraction line list is theoretical, not measured: it uses DFT lattice parameters and positions (GGA-PBE) and Cu Kα X-rays.
Intensities are scaled so that the largest is 100.

Structural model:
```
CsPd2Pb
1.0
4.6865 0.0000 0.0000
0.0000 7.5976 0.0000
0.0000 0.0000 7.0971
Cs Pd Pb
2 4 2
Cartesian
1.1716 1.8994 0.8879
3.5148 5.6982 6.2091
1.1716 0.4700 4.1620
1.1716 3.3288 4.1620
3.5148 4.2688 2.9351
3.5148 7.1276 2.9351
1.1716 5.6982 2.5939
3.5148 1.8994 4.5032
```

Most intense lines, 10° ≤ 2θ ≤ 90°, sorted by position:
2θ 12.5, I 100; 2θ 25.6, I 35; 2θ 27.7, I 98; 2θ 32.9, I 81; 2θ 38.4, I 38; 2θ 39.7, I 21; 2θ 40.5, I 28; 2θ 42.5, I 60; 2θ 44.5, I 22; 2θ 48.0, I 44; 2θ 49.4, I 32; 2θ 66.0, I 22

***

4.
Diffraction record for Cs4PdPb5. The powder diffraction line list is theoretical, not measured: it uses DFT lattice parameters and positions (GGA-PBE) and Cu Kα X-rays.
Intensities are scaled so that the largest is 100.

Structural model:
```
Cs4PdPb5
1.0
-5.7037 5.7037 3.4660
5.7037 -5.7037 3.4660
5.7037 5.7037 -3.4660
Cs Pd Pb
4 1 5
Cartesian
3.4187 0.0000 0.0000
7.9888 0.0000 0.0000
0.0000 3.4187 0.0000
0.0000 7.9888 0.0000
0.0000 0.0000 1.5376
........
Inspectors found that children and young people were generally safe within their communities and increasingly made responsible choices in terms of substance use.
Karen Reid, chief executive of the Care Inspectorate said: “Partners have demonstrated improvement across a wide range of services which are making a real difference to the lives of children, young people and their families and are delivering good outcomes.
“Some areas could improve further. While most children and young people were safe at home or in their care placements, inconsistencies in the quality of assessments and plans compromised outcomes for some children and young people at times when they were particularly vulnerable.
“Some children lived with the negative consequences of domestic abuse or their parents’ substance misuse for too long. A few vulnerable children had too many changes of accommodation or had to wait too long for permanent placements.
“We expect that partners will now take forward the areas for improvement identified in this report.”
The full inspection report is available here: